{"formula": "C14H11FeNO5", "method": "ωB97M-V with the def2-TZVPD basis set", "total_charge": 0, "multiplicity": 5, "e_above_lowest_kj_mol": 0.0, "e_lumo_ev": [-0.16, -2.71], "orbital_gap_ha": [0.2339, 0.2236], "species": ["C", "C", "C", "O", "N", "C", "O", "H", "H", "H", "H", "O", "C", "Fe", "C", "O", "C", "O", "C", "C", "C", "C", "C", "C", "C", "H", "H", "H", "H", "H", "H", "H"], "xyz": [[-0.539709, -3.579240, 1.677082], [-2.035483, -3.485676, 1.515336], [-2.281516, -2.107243, 0.889093], [-3.381115, -1.629868, 0.668485], [-1.043526, -1.509841, 0.645718], [0.008835, -2.222029, 1.209333], [1.170323, -1.882186, 1.353804], [-0.254369, -3.765847, 2.717195], [-0.118951, -4.379646, 1.055512], [-2.420140, -4.284034, 0.867642], [-2.533479, -3.563344, 2.488786], [2.548011, 1.811098, -3.575134], [1.756923, 1.673671, -2.736846], [0.746646, 1.239522, -1.368008], [-0.339531, 0.446606, -2.522815], [-0.907422, -0.261531, -3.252242], [1.640167, -0.338259, -1.287849], [2.146946, -1.314514, -1.667478], [-0.435737, 0.911660, 0.355724], [0.490235, 1.164311, 1.384150], [1.622294, 1.888860, 1.144744], [1.858847, 2.471768, -0.130398], [0.912236, 3.259126, -0.853351], [-0.476406, 3.118502, -0.783257], [-1.051934, 1.877370, -0.450471], [-0.965339, -0.236580, 0.459972], [0.365032, 0.655853, 2.354283], [2.427525, 1.898556, 1.895291], [2.917420, 2.581929, -0.417360], [1.320283, 4.044116, -1.494041], [-1.109915, 3.869666, -1.274652], [-2.037164, 1.647233, -0.868236]], "atomic_forces_ev_per_a": [[0.4, -0.1, -0.1], [-0.3, -0.2, -0.1], [-1.3, 0.1, 0.1], [1.4, -0.2, 0.1], [-0.4, 0.1, 0.3], [0.9, -0.4, 0.6], [-1.2, 0.2, -0.4], [0.2, 0.1, -0.3], [0.1, 0.3, 0.2], [-0.2, 0.4, 0.1], [-0.2, 0.2, -0.4], [-1.5, -0.2, 1.2], [3.6, 1.2, -3.5], [-0.5, -1.0, -0.5], [-3.3, -2.8, -2.8], [1.2, 1.4, 1.2], [2.2, -3.9, -1.1], [-1.2, 2.3, 1.2], [-1.4, 1.6, 1.3], [0.1, -0.5, 1.2], [0.4, -0.3, 0.1], [1.8, 2.3, 1.0], [1.0, 0.1, 0.5], [-1.3, 1.5, 0.1], [-0.5, -0.4, 0.3], [0.0, -1.5, -0.1], [0.2, 0.1, -0.6], [-0.4, -0.1, -0.4], [-0.6, 0.4, 0.3], [-0.1, -0.3, 0.1], [0.4, -0.5, 0.1], [0.2, 0.0, 0.2]]}

Please set down everything further above without additions.

{"formula": "C14H11FeNO5", "method": "ωB97M-V with the def2-TZVPD basis set", "total_charge": 0, "multiplicity": 5, "e_above_lowest_kj_mol": 0.0, "e_lumo_ev": [-0.16, -2.71], "orbital_gap_ha": [0.2339, 0.2236], "species": ["C", "C", "C", "O", "N", "C", "O", "H", "H", "H", "H", "O", "C", "Fe", "C", "O", "C", "O", "C", "C", "C", "C", "C", "C", "C", "H", "H", "H", "H", "H", "H", "H"], "xyz": [[-0.539709, -3.579240, 1.677082], [-2.035483, -3.485676, 1.515336], [-2.281516, -2.107243, 0.889093], [-3.381115, -1.629868, 0.668485], [-1.043526, -1.509841, 0.645718], [0.008835, -2.222029, 1.209333], [1.170323, -1.882186, 1.353804], [-0.254369, -3.765847, 2.717195], [-0.118951, -4.379646, 1.055512], [-2.420140, -4.284034, 0.867642], [-2.533479, -3.563344, 2.488786], [2.548011, 1.811098, -3.575134], [1.756923, 1.673671, -2.736846], [0.746646, 1.239522, -1.368008], [-0.339531, 0.446606, -2.522815], [-0.907422, -0.261531, -3.252242], [1.640167, -0.338259, -1.287849], [2.146946, -1.314514, -1.667478], [-0.435737, 0.911660, 0.355724], [0.490235, 1.164311, 1.384150], [1.622294, 1.888860, 1.144744], [1.858847, 2.471768, -0.130398], [0.912236, 3.259126, -0.853351], [-0.476406, 3.118502, -0.783257], [-1.051934, 1.877370, -0.450471], [-0.965339, -0.236580, 0.459972], [0.365032, 0.655853, 2.354283], [2.427525, 1.898556, 1.895291], [2.917420, 2.581929, -0.417360], [1.320283, 4.044116, -1.494041], [-1.109915, 3.869666, -1.274652], [-2.037164, 1.647233, -0.868236]], "atomic_forces_ev_per_a": [[0.4, -0.1, -0.1], [-0.3, -0.2, -0.1], [-1.3, 0.1, 0.1], [1.4, -0.2, 0.1], [-0.4, 0.1, 0.3], [0.9, -0.4, 0.6], [-1.2, 0.2, -0.4], [0.2, 0.1, -0.3], [0.1, 0.3, 0.2], [-0.2, 0.4, 0.1], [-0.2, 0.2, -0.4], [-1.5, -0.2, 1.2], [3.6, 1.2, -3.5], [-0.5, -1.0, -0.5], [-3.3, -2.8, -2.8], [1.2, 1.4, 1.2], [2.2, -3.9, -1.1], [-1.2, 2.3, 1.2], [-1.4, 1.6, 1.3], [0.1, -0.5, 1.2], [0.4, -0.3, 0.1], [1.8, 2.3, 1.0], [1.0, 0.1, 0.5], [-1.3, 1.5, 0.1], [-0.5, -0.4, 0.3], [0.0, -1.5, -0.1], [0.2, 0.1, -0.6], [-0.4, -0.1, -0.4], [-0.6, 0.4, 0.3], [-0.1, -0.3, 0.1], [0.4, -0.5, 0.1], [0.2, 0.0, 0.2]]}